[Listing]
........
Entry 1:
# C40H104BeN2O14

A molecular structure, C40H104BeN2O14 in a non-equilibrium geometry (ωB97M-V/def2-TZVPD, the OMol25 dataset).

Each line ends with the Löwdin charge.
Atoms and positions in Å:
Be: 0.82471 0.15898 2.75472  0.950
C: 0.46643 -1.69756 -0.43820  -0.029
C: 0.21910 -0.26601 -0.90041  -0.479
C: -1.31985 -0.18307 -1.05809  -0.140
C: -1.84475 1.24102 -1.26605  -0.166
C: -1.23808 2.27832 -0.32171  -0.120
C: 0.31436 2.16650 -0.16419  -0.491
N: 0.64199 0.75647 0.04578  -0.188
O: 1.96426 0.48221 0.43731  -0.246
C: 0.64535 2.99464 1.06113  -0.054
C: 0.95117 2.82581 -1.38548  -0.027
C: 0.77948 -0.18506 -2.35446  -0.022
H: -0.16986 -2.40596 -0.96509  0.067
H: 0.30092 -1.92994 0.61691  0.036
H: 1.52616 -1.97011 -0.44966  0.074
H: -1.85314 -0.67283 -0.23760  0.112
H: -1.54344 -0.76957 -1.95465  0.097
H: -2.91687 1.15032 -1.07224  0.107
H: -1.64297 1.48744 -2.30931  0.093
H: -1.74403 2.34706 0.64504  0.100
H: -1.58840 3.17408 -0.84891  0.104
H: 1.71694 3.08158 1.27156  0.071
H: 0.18120 2.64559 1.99107  0.059
H: 0.39329 4.05334 0.94586  0.079
H: 0.84113 3.91480 -1.39269  0.086
H: 0.52447 2.47266 -2.32266  0.061
H: 2.03486 2.70946 -1.48629  0.079
H: 1.86838 -0.26287 -2.30825  0.079
H: 0.41506 0.64654 -2.94920  0.067
H: 0.46978 -1.10258 -2.85965  0.061
C: -0.09597 -2.29601 7.30176  -0.037
C: 0.94800 -2.76159 6.26075  -0.485
C: 1.17214 -4.26866 6.51168  -0.146
C: 0.29823 -5.25230 5.73671  -0.173
C: 0.30955 -4.83563 4.27255  -0.154
C: -0.25511 -3.42093 4.08158  -0.500
N: 0.54379 -2.48791 4.86517  -0.181
O: 0.20042 -1.20392 4.67450  -0.206
C: -1.77315 -3.45575 4.42421  -0.015
C: -0.11753 -3.09047 2.58928  -0.068
C: 2.30051 -2.06957 6.46130  -0.046
H: -0.57980 -1.33088 7.14835  0.072
H: 0.50253 -2.18967 8.21060  0.081
H: -0.89932 -3.01605 7.46247  0.072
H: 0.91114 -4.51492 7.54712  0.113
H: 2.24156 -4.48613 6.47312  0.114
H: -0.71237 -5.18089 6.14269  0.106
H: 0.72469 -6.25421 5.76883  0.113
H: -0.18142 -5.57761 3.64353  0.119
H: 1.36143 -4.73616 3.97799  0.128
H: -2.30548 -2.96437 3.60046  0.065
H: -2.02599 -2.99905 5.37786  0.072
H: -2.27715 -4.42141 4.31610  0.082
H: -0.40645 -3.88721 1.90831  0.098
H: 0.93452 -2.84184 2.40318  0.087
H: -0.65027 -2.15559 2.41110  0.032
H: 2.93193 -2.31115 5.60452  0.090
H: 2.84003 -2.30660 7.37976  0.084
H: 2.23974 -0.97802 6.45789  0.072
C: 3.40668 3.31361 -4.41395  -0.078
C: 4.48040 2.72108 -3.51917  -0.312
O: 5.05807 3.71455 -2.66326  -0.085
H: 2.48262 3.55533 -3.88941  0.057
H: 3.16266 2.55796 -5.16571  0.067
H: 3.82294 4.19240 -4.90382  0.076
H: 5.31250 2.42562 -4.16843  0.110
H: 4.17414 1.81427 -2.99673  0.091
H: 5.90169 3.98619 -3.02614  0.076
C: -2.33883 -3.63461 -3.25042  -0.079
C: -2.51076 -3.87149 -1.76431  -0.322
O: -3.36263 -4.99320 -1.54721  -0.076
H: -3.24613 -3.51114 -3.84278  0.072
H: -1.69626 -4.40385 -3.67673  0.073
H: -1.88849 -2.64050 -3.37465  0.050
H: -2.90047 -2.95167 -1.30369  0.101
H: -1.62760 -4.02998 -1.14399  0.098
H: -4.26504 -4.66879 -1.60871  0.080
C: 2.30089 -1.05276 -5.41509  -0.084
C: 0.83878 -1.41161 -5.54089  -0.339
O: 0.35605 -1.68973 -6.84741  -0.062
H: 2.53465 -0.16204 -6.01245  0.071
H: 3.00776 -1.78751 -5.80719  0.073
H: 2.63861 -0.71739 -4.43406  0.054
H: 0.23207 -0.57225 -5.19089  0.091
H: 0.58569 -2.20812 -4.83125  0.094
H: 0.44448 -2.63886 -6.97956  0.084
C: -3.49580 5.72290 -0.39045  -0.097
C: -2.16203 6.27707 -0.84269  -0.340
O: -2.15300 7.65098 -0.48353  -0.066
H: -3.49778 5.75206 0.70105  0.075
H: -3.63573 4.68203 -0.68889  0.058
H: -4.32170 6.30565 -0.79656  0.079
H: -2.06243 6.01949 -1.90259  0.113
H: -1.38824 5.72228 -0.29905  0.095
H: -1.36837 8.02513 -0.89719  0.084
C: 5.24348 -0.67373 -1.25426  -0.084
C: 4.56854 -1.94547 -0.79836  -0.329
O: 4.12103 -1.93677 0.54727  -0.082
H: 4.70420 0.26875 -1.13985  0.049
H: 5.54875 -0.71014 -2.30437  0.071
H: 6.16917 -0.52390 -0.69205  0.080
H: 5.25230 -2.79537 -0.85457  0.111
H: 3.74558 -2.23775 -1.46592  0.079
H: 3.50181 -1.20116 0.65193  0.042
O: 4.43520 2.36550 0.77131  -0.072
........

[To do]
Could you retype all of the calculation results further up character by character?

[Solution]
Entry 1:
# C40H104BeN2O14

A molecular structure, C40H104BeN2O14 in a non-equilibrium geometry (ωB97M-V/def2-TZVPD, the OMol25 dataset).

Each line ends with the Löwdin charge.
Atoms and positions in Å:
Be: 0.82471 0.15898 2.75472  0.950
C: 0.46643 -1.69756 -0.43820  -0.029
C: 0.21910 -0.26601 -0.90041  -0.479
C: -1.31985 -0.18307 -1.05809  -0.140
C: -1.84475 1.24102 -1.26605  -0.166
C: -1.23808 2.27832 -0.32171  -0.120
C: 0.31436 2.16650 -0.16419  -0.491
N: 0.64199 0.75647 0.04578  -0.188
O: 1.96426 0.48221 0.43731  -0.246
C: 0.64535 2.99464 1.06113  -0.054
C: 0.95117 2.82581 -1.38548  -0.027
C: 0.77948 -0.18506 -2.35446  -0.022
H: -0.16986 -2.40596 -0.96509  0.067
H: 0.30092 -1.92994 0.61691  0.036
H: 1.52616 -1.97011 -0.44966  0.074
H: -1.85314 -0.67283 -0.23760  0.112
H: -1.54344 -0.76957 -1.95465  0.097
H: -2.91687 1.15032 -1.07224  0.107
H: -1.64297 1.48744 -2.30931  0.093
H: -1.74403 2.34706 0.64504  0.100
H: -1.58840 3.17408 -0.84891  0.104
H: 1.71694 3.08158 1.27156  0.071
H: 0.18120 2.64559 1.99107  0.059
H: 0.39329 4.05334 0.94586  0.079
H: 0.84113 3.91480 -1.39269  0.086
H: 0.52447 2.47266 -2.32266  0.061
H: 2.03486 2.70946 -1.48629  0.079
H: 1.86838 -0.26287 -2.30825  0.079
H: 0.41506 0.64654 -2.94920  0.067
H: 0.46978 -1.10258 -2.85965  0.061
C: -0.09597 -2.29601 7.30176  -0.037
C: 0.94800 -2.76159 6.26075  -0.485
C: 1.17214 -4.26866 6.51168  -0.146
C: 0.29823 -5.25230 5.73671  -0.173
C: 0.30955 -4.83563 4.27255  -0.154
C: -0.25511 -3.42093 4.08158  -0.500
N: 0.54379 -2.48791 4.86517  -0.181
O: 0.20042 -1.20392 4.67450  -0.206
C: -1.77315 -3.45575 4.42421  -0.015
C: -0.11753 -3.09047 2.58928  -0.068
C: 2.30051 -2.06957 6.46130  -0.046
H: -0.57980 -1.33088 7.14835  0.072
H: 0.50253 -2.18967 8.21060  0.081
H: -0.89932 -3.01605 7.46247  0.072
H: 0.91114 -4.51492 7.54712  0.113
H: 2.24156 -4.48613 6.47312  0.114
H: -0.71237 -5.18089 6.14269  0.106
H: 0.72469 -6.25421 5.76883  0.113
H: -0.18142 -5.57761 3.64353  0.119
H: 1.36143 -4.73616 3.97799  0.128
H: -2.30548 -2.96437 3.60046  0.065
H: -2.02599 -2.99905 5.37786  0.072
H: -2.27715 -4.42141 4.31610  0.082
H: -0.40645 -3.88721 1.90831  0.098
H: 0.93452 -2.84184 2.40318  0.087
H: -0.65027 -2.15559 2.41110  0.032
H: 2.93193 -2.31115 5.60452  0.090
H: 2.84003 -2.30660 7.37976  0.084
H: 2.23974 -0.97802 6.45789  0.072
C: 3.40668 3.31361 -4.41395  -0.078
C: 4.48040 2.72108 -3.51917  -0.312
O: 5.05807 3.71455 -2.66326  -0.085
H: 2.48262 3.55533 -3.88941  0.057
H: 3.16266 2.55796 -5.16571  0.067
H: 3.82294 4.19240 -4.90382  0.076
H: 5.31250 2.42562 -4.16843  0.110
H: 4.17414 1.81427 -2.99673  0.091
H: 5.90169 3.98619 -3.02614  0.076
C: -2.33883 -3.63461 -3.25042  -0.079
C: -2.51076 -3.87149 -1.76431  -0.322
O: -3.36263 -4.99320 -1.54721  -0.076
H: -3.24613 -3.51114 -3.84278  0.072
H: -1.69626 -4.40385 -3.67673  0.073
H: -1.88849 -2.64050 -3.37465  0.050
H: -2.90047 -2.95167 -1.30369  0.101
H: -1.62760 -4.02998 -1.14399  0.098
H: -4.26504 -4.66879 -1.60871  0.080
C: 2.30089 -1.05276 -5.41509  -0.084
C: 0.83878 -1.41161 -5.54089  -0.339
O: 0.35605 -1.68973 -6.84741  -0.062
H: 2.53465 -0.16204 -6.01245  0.071
H: 3.00776 -1.78751 -5.80719  0.073
H: 2.63861 -0.71739 -4.43406  0.054
H: 0.23207 -0.57225 -5.19089  0.091
H: 0.58569 -2.20812 -4.83125  0.094
H: 0.44448 -2.63886 -6.97956  0.084
C: -3.49580 5.72290 -0.39045  -0.097
C: -2.16203 6.27707 -0.84269  -0.340
O: -2.15300 7.65098 -0.48353  -0.066
H: -3.49778 5.75206 0.70105  0.075
H: -3.63573 4.68203 -0.68889  0.058
H: -4.32170 6.30565 -0.79656  0.079
H: -2.06243 6.01949 -1.90259  0.113
H: -1.38824 5.72228 -0.29905  0.095
H: -1.36837 8.02513 -0.89719  0.084
C: 5.24348 -0.67373 -1.25426  -0.084
C: 4.56854 -1.94547 -0.79836  -0.329
O: 4.12103 -1.93677 0.54727  -0.082
H: 4.70420 0.26875 -1.13985  0.049
H: 5.54875 -0.71014 -2.30437  0.071
H: 6.16917 -0.52390 -0.69205  0.080
H: 5.25230 -2.79537 -0.85457  0.111
H: 3.74558 -2.23775 -1.46592  0.079
H: 3.50181 -1.20116 0.65193  0.042
O: 4.43520 2.36550 0.77131  -0.072